Self-Initiation and Independent Dental Hygiene/Adults/ Children/A Smart Choice
Registered Dental Hygienists are licensed or registered Regulated Healthcare Professionals and may provide oral healthcare in settings other than a ‘traditional dental office’. Dental Hygienists who are authorized by the College of Dental Hygienists of Ontario (CDHO) to 'self initiate' may choose to have their own office, work in medical clinics and other healthcare professionals such as massage therapists, chiropractic doctors, or travel to their client's place of residence or retirement home.
Registered Dental Hygienists practice by law according to the:
What this means to the public?
Resource: CDHO
Under previous legislation (before September 1, 2007), persons wishing to have their teeth cleaned by a dental hygienist would first have to be examined by a dentist and an “order” would have to be given for this client to access dental hygiene care. The College heard from many individuals and groups in Ontario who found this system to be a barrier to dental hygiene care. Reasons people did not see a dentist are numerous but often mentioned were cost, physical access, geographic isolation, and unperceived need.
Under the new legislation, with the barrier of seeing a “dentist first” now optional, the public can choose where and when they will receive dental hygiene services. This client-centered system allows dental hygiene services to make their way into less serviced areas, addressing a need that has been long recognized by the CDHO. New dental hygiene practices are emerging in less traditional settings. Dental hygienists are setting up mobile practices to visit clients that are home bound, in rural settings, community health centers, cultural communities and stand-alone dental hygiene clinics.
Increased access to dental hygiene services means that more
people in Ontario will be screened for oral health problems
that may have a direct impact on overall health. Dental
hygienists will work with their clients to establish a care
plan that will include disease prevention, therapeutic
interventions and appropriate referrals. Dental hygienists
will work collaboratively with other health care professionals
to ensure that the health needs of Ontarians are addressed
safely, effectively and efficiently. This is an example of
good government. It places the needs of the public first.
For more information about the profession of dental hygiene, please visit www.cdho.org
CDHO Code of Ethics
College Standards of Practice
Dental Hygiene Act, 1991
These molecular data were left in the page by mistake.
~~~
Record 1
{"formula": "C6H7N", "method": "ωB97M-V with the def2-TZVPD basis set", "elements": ["C", "C", "C", "C", "C", "N", "C", "H", "H", "H", "H", "H", "H", "H"], "coordinates": [[1.947, -0.059, -0.230], [0.498, 0.146, 0.070], [-0.675, -0.019, -0.912], [-1.631, 0.597, 0.066], [-1.263, -0.961, 0.074], [-0.191, -0.692, 1.081], [-0.488, 0.742, 1.072], [2.320, 0.715, -0.905], [2.090, -1.032, -0.731], [2.530, -0.076, 0.692], [-0.813, -0.029, -1.984], [-2.386, 1.359, -0.165], [-1.465, -2.024, -0.120], [-0.472, 1.331, 1.991]], "smiles": "C[C@@]12[C@@H]3[C@H]4[C@@H]3N1[C@H]42", "homo_lumo_gap_ha": 0.361, "e_lumo_ev": 1.18, "homo_energy_ev": -8.65, "energy_ha": -287.38240, "largest_force_ha_per_bohr": 0.0264}

Record 2
{"formula": "C6H7N2", "method": "ωB97M-V with the def2-TZVPD basis set", "elements": ["C", "C", "C", "C", "C", "C", "N", "N", "H", "H", "H", "H", "H", "H", "H"], "coordinates": [[1.982, 0.277, 1.144], [1.372, 1.518, 1.062], [1.268, -0.828, 0.738], [0.231, 1.550, 0.316], [0.212, -1.204, 0.108], [-1.558, 0.557, -1.071], [-0.305, 0.679, -0.328], [-0.562, -2.118, -0.422], [3.044, 0.228, 1.553], [1.868, 2.377, 1.079], [-2.139, 1.534, -1.160], [-1.323, 0.122, -1.966], [-2.218, -0.044, -0.560], [-0.412, -2.958, 0.081], [-1.460, -1.690, -0.574]], "homo_lumo_gap_ha": [0.273, 0.226], "e_lumo_ev": [-4.85, -7.51], "multiplicity": 3, "charge": 1, "homo_energy_ev": [-12.27, -13.66], "energy_ha": -341.79933, "largest_force_ha_per_bohr": 0.1268}

Record 3
{"formula": "C6H7N2O2", "method": "ωB97M-V with the def2-TZVPD basis set", "elements": ["C", "C", "C", "C", "C", "C", "N", "N", "O", "O", "H", "H", "H", "H", "H", "H", "H"], "coordinates": [[-1.789, 1.109, -0.121], [-0.330, -0.404, 0.935], [1.438, 1.384, -0.256], [-1.013, 2.196, -0.610], [0.811, -2.434, -0.137], [0.113, -1.777, 1.116], [-1.330, 0.060, 0.452], [0.364, 2.247, -0.524], [2.595, 1.804, -0.492], [-1.547, 3.269, -0.964], [-2.910, 1.033, -0.360], [0.837, -3.479, -0.069], [1.911, -2.030, -0.281], [0.256, -1.999, -1.040], [0.777, -1.902, 1.934], [-0.775, -2.336, 1.360], [0.592, 3.260, -0.943]], "homo_lumo_gap_ha": [0.233, 0.233], "e_lumo_ev": [3.54, 3.54], "charge": -1, "homo_energy_ev": [-2.81, -2.80], "energy_ha": -492.72953, "largest_force_ha_per_bohr": 0.0825}

Record 4
~~~
Regulated Health Professions Act, 1991